Cancelled again. For the second year in a row, a workshop offered by La Salle University's Nonprofit Management Center on the "Executive Role in Volunteer Program Success," with me as the guest faculty member, garnered just one registrant. Karen Simmons, the NMC's excellent director, expressed the frustration that no one with a national reputation is ever valued at home. But I told her that this seminar was probably doomed from the start. Sort of "it's the SUBJECT, stupid!"
For over twenty years, it has been like pulling teeth to get agency administrators to attend sessions about volunteerism designed for them. No matter how we phrase the invitation, emphasize the executive-level topics, or ply them with elegant breakfasts, attendance is either low, represented by lower-level managers "sent" as substitutes, or the seminars have to be cancelled.
I have been battling indifference to the subject of volunteers by top administrators for most of my career. My book, From the Top Down: The Executive Role in Volunteer Program Success, directly addresses this subject and, in one way or another, it often surfaces in my articles, columns and even previous hot topics. And yet I still am caught up short with disappointment when the same prejudice confronts me once again. No matter how long I've been in this field, I simply cannot understand the inability (or unwillingness) of otherwise smart, creative leaders to embrace the enormous potential of volunteer involvement.
Agency executives understand that they have a role to play in paid personnel matters, even if there is a human resources department. Or that raising money is a vital executive function shared by the development department. So why is it such a mental stretch to see that volunteers--often greater in number by several degrees of magnitude than employees--require top-level attention as well as the best volunteer program manager?
== Here the piece breaks off for data records ==
- - -
VASP calculation (PBE) on Li3GaB2O6 after structural relaxation.

```
Li3GaB2O6
1.0
4.975 0.000 0.000
0.037 6.528 0.000
0.114 2.379 7.731
O Ga B Li
12 2 4 6
Direct
0.784 0.489 0.816
0.712 0.340 0.480
0.780 0.207 0.081
0.289 0.991 0.285
0.288 0.660 0.520
0.711 0.009 0.715
0.220 0.793 0.919
0.392 0.259 0.898
0.875 0.808 0.391
0.608 0.741 0.102
0.216 0.511 0.184
0.125 0.192 0.609
0.360 0.047 0.779
0.640 0.953 0.221
0.344 0.678 0.072
0.656 0.322 0.928
0.843 0.182 0.597
0.157 0.818 0.403
0.337 0.397 0.424
0.663 0.603 0.576
0.159 0.252 0.114
0.841 0.748 0.886
0.148 0.469 0.731
0.852 0.531 0.269
```

Output
Formation energy ... -2.608 eV/atom
Total magnetic moment ... 0.0 Bohr magnetons per cell
Space-group type ... No. 2

VASP calculation (PBE) on Mg6GaB after structural relaxation.

```
Mg6GaB
1.0
3.270 -5.107 0.000
3.270 5.107 0.000
0.000 0.000 4.630
Mg Ga B
6 1 1
Direct
0.171 0.829 0.000
0.134 0.324 0.000
0.358 0.152 0.500
0.676 0.866 0.000
0.848 0.642 0.500
0.666 0.334 0.000
0.346 0.654 0.500
0.801 0.199 0.500
```

Output
Energy relative to the lowest polymorph listed for this composition ... 0.1324 eV/atom
Formation energy ... 0.305 eV/atom
Total magnetic moment ... 0.0 Bohr magnetons per cell
Space-group type ... No. 38

VASP calculation (PBE) on Mg14GaB after structural relaxation.

```
Mg14GaB
1.0
-3.513 3.014 4.122
4.624 -3.641 1.943
6.343 7.869 -0.348
Mg Ga B
14 1 1
Direct
0.329 0.171 0.369
0.329 0.171 0.881
0.168 0.834 0.625
0.843 0.171 0.881
0.833 0.667 0.376
0.666 0.332 0.625
0.843 0.171 0.369
0.833 0.667 0.874
0.329 0.657 0.369
0.165 0.832 0.125
0.666 0.834 0.625
0.329 0.657 0.881
0.668 0.335 0.125
0.668 0.832 0.125
0.167 0.333 0.625
0.167 0.333 0.125
```

Output
Energy relative to the lowest polymorph listed for this composition ... 0.0000 eV/atom
Formation energy ... 0.148 eV/atom
Total magnetic moment ... 0.0 Bohr magnetons per cell
Space-group type ... No. 187

VASP calculation (PBE) on Mg14GaB after structural relaxation.

```
Mg14GaB
1.0
-3.077 -2.732 -4.682
6.458 -0.074 0.261
-0.304 -8.438 5.122
Mg Ga B
14 1 1
Direct
0.312 0.641 0.914
0.745 0.365 0.125
0.660 0.329 0.625
0.312 0.171 0.336
0.826 0.663 0.379
0.826 0.663 0.871
0.312 0.641 0.336
0.660 0.832 0.625
0.175 0.837 0.625
0.312 0.171 0.914
0.174 0.337 0.625
0.825 0.162 0.374
0.825 0.162 0.876
0.745 0.880 0.125
0.182 0.841 0.125
0.108 0.304 0.125
```

Output
Energy relative to the lowest polymorph listed for this composition ... 0.0051 eV/atom
Formation energy ... 0.153 eV/atom
Space-group type ... No. 38

VASP calculation (PBE) on Mg6GaB after structural relaxation.

```
Mg6GaB
1.0
4.020 -4.791 0.000
4.020 4.791 0.000
0.000 0.000 4.045
B Mg Ga
1 6 1
Direct
0.984 0.016 0.000
0.688 0.950 0.500
0.358 0.642 0.000
0.385 0.159 0.000
0.841 0.615 0.000
0.131 0.869 0.500
0.050 0.312 0.500
0.564 0.436 0.500
```

Output
Energy relative to the lowest polymorph listed for this composition ... 0.0000 eV/atom
Formation energy ... 0.172 eV/atom
- - -
I submit that this issue is "Public Enemy Number One" for the volunteer field. Individually and collectively, we must find ways to crack the wall of indifference we face. Maybe it begins by recognizing, and then responding to, examples of the problem. Rarely is the absence of the subject of volunteers truly intentional, but it can often be observed. Consider:
- Other than The NonProfit Times, for which I have written the bi-monthly column called "On Volunteers" for nine years, no other national publication aimed at nonprofit agency administrators has a regular feature on any aspect of working with volunteers. The Chronicle of Philanthropy used to include a table of contents category for articles for and about volunteers, but dropped it a while ago. They still include articles featuring volunteer-related news and models , but their main interest is fundraising. The same is true for the publication Contributions. While I have not seen every publication produced by every state association of nonprofit organizations, those that I have read cover the subject on a hit-or-miss basis. Periodicals focused on public administration and government follow suit.
- The academic nonprofit management and philanthropy centers that have evolved over the past decade generally include "volunteerism" in their mission statement, but neglect the topic in their course offerings. A review of registration brochures for both credit and non-credit courses reveals the usual emphasis on financial giving without acknowledgement of the giving of time and talents. It is rare to see even mention of "volunteers" as a bulleted subtopic in sessions about personnel management, community resources, collaboration, fundraising, or networking.
- A similar review of the agendas for professional conferences and meetings aimed at executives (national, state or local) comes up empty on the subject of volunteers. - Foundations and government granting agencies do not usually require a volunteer component to projects, nor do they ask for volunteer involvement data in reporting on the success of work they have funded. The common wisdom is that it is very difficult to raise money to cover the salary of a volunteer program manager, despite the argument of "leveraging" such a cost to produce services of far greater value.
We are talking about the need for a major change in attitude. If executives had the vision to see the power of volunteer involvement, they would welcome information and training to make the most of this resource. I am asking for some collective thinking on this issue. How do we:
- help those executives who truly understand the issues to be effective advocates to their peers?
- demonstrate the continuing "newsworthiness" of volunteering to the media that covers nonprofit and public administration issues?
- develop the capacity of Volunteer Centers and DOVIAs to be speakers and sources of information beyond the internal volunteer field?
I will, naturally, continue to tilt at this ever-present windmill. But I honestly don't know what new ideas to suggest. What do you think? If you've succeeded in educating executives in your community, how did you do it? Is there a way to use the Internet to bypass usual obstacles such as conference planning committees or publication editors?
Submitted on 2002July3 by Colette Mandin, Coordinator of Volunteers, The Support Network, Edmonton, Alberta, Canada
What gets the heat going? I want to respond to your statement about executives understanding fundraising but not people raising. This is true in our area as well and is reflected in planning, priority setting and attitudes. And yet, the value of contributed time for organizations often supercedes the financial support.
I'm not sure what the huge leap is in understanding that one is about cultivating relationships, and the other is about cultivating relationships! One is about supporting the organization and the other is about supporting the organization! Because the means to the end are different, there is a sudden leap of understanding. People raising is hugely important to both fundraising and volunteer support.
Volunteers are often donors, donors are often volunteers.
There sometimes, tho, seems to be a black hole between the management of the two. How can we, as volunteer human resource managers, get that message out?
Posted 6/23/00
Submitted by D.G., , B.C., Canada
I have to say this in defence of E.D.s, and please be aware that I am only speaking from my own experience. I do not have time to attend extra workshops on volunteerism, and my organization does not have the funds to pay for these workshops, which, from the ones I've seen offered, often cost a fair whack. Now, I understand when it's said that organizations need to make the investment. I understand the value of volunteers to an organization. I run a very efficient organization on two full-time staff and a load of volunteers. But to say, make the investment, when my co-worker and I are pushed to the wall to meet the requirements of our funders, our boards, and the needs of our clients and volunteers...? To invest money that, let's be frank, is such a struggle to get that we operate at the bare bones and have had to periodically lay off staff or reduce hours? The onus should not be on the E.D.s of underfunded, overworked organizations. We do care. We care very much. But like our very often low-income clients, we are too busy fighting for survival right now.
Submitted by Ellen Reaves, Program Coordinator, Friend Advocate Prog., NJ
Susan, this topic has frustrated me for years. I also believe that there is an issue with the salary levels in this profession. I don't understand why the boards of these agencies don't advocate more than they do because they are volunteering as well! I truly believe that if these Executive Directors personally contributed their time to a worthy cause, we would see a difference!
Submitted by Deborah Perkins, Director of Client Services, Boston, MA
In our non-profit organization (a pregnancy resource center), we have only five people on paid staff and over 100 volunteers. Volunteers do everything from answering phones to counseling to administrative and project-based work. But our staff - even the Exec. Director - is completely "pro-volunteering" because ALL of the staff have been in volunteer positions themselves at some time (either with us or with other organizations). Our Exec. Director began working in another center as a volunteer receptionist and now (eight or ten years later) is running the show! Nothing will convince an executive of the value of volunteers more than personal experience as a volunteer. Perhaps the corporations who are requiring volunteer participation from all employees - even for one day each year - are onto something. It's hard to mistreat or overlook volunteers when you know what it's like to be one yourself! Leaders who SERVE become good and trusted leaders ("whoever would be great among you, let him be your servant" - Matthew 20:26).
Submitted by Sarah Elliston , Professional Development Associate , Cincinnati, Ohio USA
I guess I feel the same way - I am constantly educating managers of volunteer programs to educate their organizations, and the managers usually leave the organizations out of frustration and isolation before the educating can get done. I had one thought and that is that Nursing Homes and Hospice Programs, for profit, ARE required to involve volunteers if the organizations receive Medicare funds. It is the only government funding that DOES require volunteers, that I know of. We have had workshops for Ex Directors which were poorly attended, too, so I am afraid I haven't much wisdom there either. Sorry - I look forward to other readers' responses.
Submitted by Patricia Ann Salberg, Volunteer Resources Manager/The Multiple Sclerosis Society of Canada Ottawa Carleton chapter, Ontario Canada
It is time that we managers of volunteer resources face facts. The bottom line is where it is at and it is an uphill battle raising awareness about volunteer management. More specifically to executives who are pre-occupied with the bottom line and who can blame them. In the eight years I have been working in this field I have felt at times elated and at times very discouraged, however I look back and see that my efforts to enlighten have not fallen on deaf ears but definitely are not moving in the fast lane.
We change peoples' attitudes by continuously educating and advocating. We must not get discouraged. We must acknowledge the status-quo but never accept it as a 'fait accomplis'. We may never benefit greatly as a result of our efforts but our sons and daughters will. So like the pioneers of old each of us in our own way must forge ahead and do as good a job as possible. We each have the ear of our executive and we must bend it from time to time. If the mountain will not go to Mohammed etc... I always circulate your monthly hot topic to my director and all the board members. I just slip it in their mail slot. Thank you, you are reaching some and you don't even know it... keep up the good work. I don't know what I would do without your support.
Submitted by Mary Jo Harris, Volunteer Manager, Wisconsin Public Television, Madison, Wisconsin, USA
I belong to the Dane County Administrators of Volunteer Services (DCAVS) located in Madison, Wisconsin. We have started taking steps that will enable us to send "thank you" letters to the CEOs, Presidents, Directors, and Executive Directors of our member agencies. These letters will highlight the involvement of the DCAVS member throughout the past year and "thank" the executive for the knowledge and foresight they had in encouraging their employee to participate in DCAVS. Of course, we will also stress the importance and value of volunteers in their agency and that the continued professional development of their managers will only enhance the agency's status and visibility. This letter is a beginning attempt at educating agency executives of the valuable, professional resource they have in their volunteer manager. Any ideas or suggestions for additions, enhancements, or more advanced education efforts are welcomed.
Submitted by Betty Stallings, President, Stallings and Associates, Pleasanton, California
Yes, Yes, Yes!!! For years I have thought if we are unable to capture the attention, understanding and support of executives we will continue to struggle with the same issues that have plagued this field since its inception. Frequently, after presenting a workshop on volunteer management, I hear a lamenting chorus,"I wish my E.D. had been here!"
The most innovative approach I have seen to focus on the partnership we need with ED's was sponsored by the excellent volunteer center in Calgary, Canada. They obtained foundation funding to sponsor a two day seminar on the team approach to a volunteer program. The team, as I remember, came as guests of the foundation and were to be represented by the ED, the Manager of Volunteers and a board member. (Minimally two had to be in attendance.) They had nearly 200 attend! After the seminar each team walked away with their own organizational plan to enhance their volunteer program. The foundation was so interested in this approach that they did periodic follow-up evaluations to determine its impact. I was privileged to be the facilitator of the event and personally left feeling that it was the most exciting (potentially impactful) workshop I had ever been a part of— primarily due to the involvement of the ED's, the support and attendance of funders and a very innovative and connected volunteer center.
I believe education of funders (an initiative has begun), and concerted efforts by Volunteer Center Directors (peers of ED's) must be mobilized. In terms of influence, we (volunteer managers) do have what administrators need (a means of enhancing the mission of the organization) and thus we should have success if we strategically think through our approach. I believe this issue is so important that there should be a think-tank on the subject. Something for you to set up in your spare time, Susan!